Huhu skipped gym again. Gosh.. when will I Insaf? I have no idea. I was planning to go actually but I had this quarterly briefing in the Office and had some feast around 6pm. When the tummy was so full, I dun feel like goin exercising. maybe Tomorrow..
Geez.. butt lazy and still complaining about the huuuge arms :D
okie, the title above has nothing to do with this entry.
First of all, who wants to go to Luna Bar with me? We will be moonwalk dancing :D
aHH.. no, tomorrow is my dad birthday, goin back to Bentong on saturday and back to KL on sunday. Cant go to Luna Bar this Saturday nite. Moreover, I dun have clubbing kaki anymore. And tried so hard from the Bar, tried to be good :D huhu I was actually startled by this news about a travel model who got caught and sentenced to whipping for drinking alcohol. Hmmm..
hmmm. im not goin to talk more on that, its not fair when we scared of the world punsihment when we ignored the hereafter punishment right.. well not to be hypocrite here, so lets just ignore the news.
I just had my Diet Coke. Ok now whats the relation? :D Haha nah, when I got out from the Office, I contacted Zai if she wanna hangout, sad to know she is already at home. Nadiah was having a big Iftar somewhere in Mid Valley, So I went to The Mall just to loaf around. I went to Cold Storage and check out stuff, shelf by shelf. There are so many options for Jalapeno, and cheese and frozen food and yes, I saw a nice Starbucks Ice Cream. There are Java Chip, my fave Caramel Macchiato and many more!
But I didnt buy. :D Its expensive and I'm supposed to watch my calorie/sugar intake :D So I bought Coke for my sister, Diet Coke for me ( just for a little craving ) and Dutch Lady Choc Milk - the major craving!!
********
1.
The following is a simulated powder X-ray diffraction pattern of Pm5Nd3Er3. It was derived from a GGA-PBE-relaxed structure, using Cu Kα X-rays.

Top 10 peaks for 10° ≤ 2θ ≤ 90°, sorted by position:
28.9 deg, I 25; 30.6 deg, I 73; 30.9 deg, I 31; 31.1 deg, I 83; 31.3 deg, I 36; 32.0 deg, I 100; 46.4 deg, I 20; 49.7 deg, I 21; 58.3 deg, I 22; 59.5 deg, I 22

Cell and atoms:
Unit cell a=3.6683 b=9.4274 c=11.7447 alpha=68.93 beta=81.08 gamma=89.99
Element x y z (fractional)
Pm: 0.0000 0.0000 0.0000
Pm: 0.0408 0.4116 0.9182
Pm: 0.2435 0.9774 0.5135
Pm: 0.6715 0.6318 0.6534
Pm: 0.8173 0.3032 0.3641
Nd: 0.0823 0.8088 0.8301
Nd: 0.4114 0.1751 0.1746
Nd: 0.6448 0.2088 0.7063
Er: 0.2690 0.5235 0.4582
Er: 0.4375 0.6223 0.1249
Er: 0.8424 0.8358 0.3117


2.
The following is a simulated powder X-ray diffraction pattern of CeP2N2O8. It was derived from a GGA-PBE-relaxed structure, using Cu Kα X-rays.

Top 10 peaks for 10° ≤ 2θ ≤ 90°, sorted by position:
13.8 deg, I 100; 20.7 deg, I 12; 26.2 deg, I 27; 27.1 deg, I 22; 29.7 deg, I 22; 32.5 deg, I 7; 34.2 deg, I 17; 43.1 deg, I 8; 45.1 deg, I 10; 51.5 deg, I 14

Cell and atoms:
Unit cell a=10.5428 b=10.5428 c=10.5428 alpha=142.28 beta=142.28 gamma=54.40
Element x y z (fractional)
Ce: 0.3750 0.6250 0.7500
Ce: 0.6250 0.3750 0.2500
P: 0.2058 0.4558 0.7500
P: 0.4558 0.2058 0.2500
P: 0.5442 0.7942 0.7500
P: 0.7942 0.5442 0.2500
N: 0.0000 0.0000 0.0000
N: 0.0000 0.0000 0.5000
N: 0.0000 0.5000 0.0000
N: 0.5000 0.0000 0.5000
O: 0.0244 0.5927 0.4318
O: 0.2580 0.3296 0.5716
O: 0.2580 0.6864 0.9284
O: 0.3136 0.7420 0.5716
O: 0.3296 0.2580 0.0716
O: 0.3391 0.4073 0.9318
O: 0.4073 0.3391 0.4318
O: 0.4073 0.9756 0.0682
O: 0.5927 0.0244 0.9318
O: 0.5927 0.6609 0.5682
O: 0.6609 0.5927 0.0682
O: 0.6704 0.7420 0.9284
O: 0.6864 0.2580 0.4284
O: 0.7420 0.3136 0.0716
O: 0.7420 0.6704 0.4284
O: 0.9756 0.4073 0.5682


3.
The following is a simulated powder X-ray diffraction pattern of Rb2TiI5. It was derived from a GGA-PBE-relaxed structure, using Cu Kα X-rays.

Top 10 peaks for 10° ≤ 2θ ≤ 90°, sorted by position:
13.4 deg, I 29; 24.3 deg, I 15; 27.0 deg, I 100; 28.7 deg, I 54; 31.8 deg, I 13; 37.9 deg, I 13; 41.0 deg, I 17; 46.0 deg, I 15; 46.5 deg, I 18; 49.8 deg, I 24

Cell and atoms:
Unit cell a=8.7987 b=8.7987 c=10.0382 alpha=90.00 beta=90.00 gamma=90.00
Element x y z (fractional)
Rb: 0.0000 0.5000 0.0000
Rb: 0.0000 0.5000 0.5000
Rb: 0.5000 0.0000 0.0000
Rb: 0.5000 0.0000 0.5000
Ti: 0.0000 0.0000 0.3093
Ti: 0.5000 0.5000 0.8093
I: 0.0000 0.0000 0.5667
I: 0.2192 0.2192 0.2487
I: 0.2192 0.7808 0.2487
I: 0.2808 0.2808 0.7487
I: 0.2808 0.7192 0.7487
I: 0.5000 0.5000 0.0667
I: 0.7192 0.2808 0.7487
I: 0.7192 0.7192 0.7487
I: 0.7808 0.2192 0.2487
I: 0.7808 0.7808 0.2487


4.
The following is a simulated powder X-ray diffraction pattern of Cs2PmTi2O7. It was derived from a GGA-PBE-relaxed structure, using Cu Kα X-rays.

Top 10 peaks for 10° ≤ 2θ ≤ 90°, sorted by position:
********
And I just had the Diet Coke!! Huhu and on the rocks, it was so so much better than the original coke i Must say. :D The bitterness is sweetness. Ok now im being freak.
Today has been a nice day for me. Started with my annoying alarm sound, although it was actually one of the Incubus song :D The alarm was set to 6:45 am, and it was snoozing until 7. huhu and I took the hp and set the alarm to 730 :D huahuahauhau The hp was actually 15 mins earlier, so I wasnt that late.
And yessssss Something exciting happened on the LRT :D When I got my butt on the seat, I saw my old LRT crush. He is just a guy, who stay in my apartment and he is this Tall, very groomed guy. We bumped into each other since i worked in PJ, then KLCC and since I worked in Masjid Jamek, I never saw him. Only 1 time in KLCC. He is this.. I dunno, maybe a real Metrosexual guy. My sister told me he could be a gay but I dun mind, he is just an eye candy.. nothing more than that. Only that when he turned away, ( mostly his face will be opposite with mine ), I looked at his lipss. He got this very very very sexy lips. Full and thick and sexy and full and thick and yummy :D Just a naughty thought. He could be a good kisser. Hu hu then when we walked out of the tren, he was walking behind me and gosh I feel secured! I just love tall guy!
Ahh... too much information. Im goin to watch the IT Crowd now. Aunt Irma visiting AGAIN! :D
This is my lips. Swollen. No, One day I woke up from sleep and this is how they look like. Nasty.
Hushgirl currently listening to : Becinta | Faizal Tahir
Geez.. butt lazy and still complaining about the huuuge arms :D
okie, the title above has nothing to do with this entry.
First of all, who wants to go to Luna Bar with me? We will be moonwalk dancing :D
aHH.. no, tomorrow is my dad birthday, goin back to Bentong on saturday and back to KL on sunday. Cant go to Luna Bar this Saturday nite. Moreover, I dun have clubbing kaki anymore. And tried so hard from the Bar, tried to be good :D huhu I was actually startled by this news about a travel model who got caught and sentenced to whipping for drinking alcohol. Hmmm..
hmmm. im not goin to talk more on that, its not fair when we scared of the world punsihment when we ignored the hereafter punishment right.. well not to be hypocrite here, so lets just ignore the news.
I just had my Diet Coke. Ok now whats the relation? :D Haha nah, when I got out from the Office, I contacted Zai if she wanna hangout, sad to know she is already at home. Nadiah was having a big Iftar somewhere in Mid Valley, So I went to The Mall just to loaf around. I went to Cold Storage and check out stuff, shelf by shelf. There are so many options for Jalapeno, and cheese and frozen food and yes, I saw a nice Starbucks Ice Cream. There are Java Chip, my fave Caramel Macchiato and many more!
But I didnt buy. :D Its expensive and I'm supposed to watch my calorie/sugar intake :D So I bought Coke for my sister, Diet Coke for me ( just for a little craving ) and Dutch Lady Choc Milk - the major craving!!
And I just had the Diet Coke!! Huhu and on the rocks, it was so so much better than the original coke i Must say. :D The bitterness is sweetness. Ok now im being freak.
# Someone pasted calculated crystals at this point
____________
Record 1
Computed powder XRD pattern
Compound: Sr2YMnCu2O7
Radiation: Cu Kα
Structure: a DFT-relaxed cell (PBE+U, the Materials Project)
Lines closer than 0.1° are merged.

Principal peaks in the range 2θ = 10–90°, low angle first:
- 32.6 deg, I 100, hkl 1 1 2
- 32.9 deg, I 67, hkl 2 0 -1
- 38.2 deg, I 8, hkl 0 0 5
- 38.5 deg, I 34, hkl 1 1 3
- 47.3 deg, I 37, hkl 2 2 -2
- 58.0 deg, I 12, hkl 2 0 5
- 58.6 deg, I 35, hkl 3 1 1
- 62.6 deg, I 16, hkl 1 3 2
- 68.3 deg, I 9, hkl 2 2 -8
- 69.1 deg, I 10, hkl 4 0 -2
- 75.0 deg, I 8, hkl 2 2 5
- 78.7 deg, I 8, hkl 4 2 -3

Structure:
Cell: 5.4375 5.4401 12.3818 Å, 102.65 102.67 90.04°
Space group P1 (No. 1)
Inequivalent atoms, fractional coordinates:
Sr 0.0000 0.0000 0.0000 [1 per cell]
Sr 0.2013 0.2014 0.4025 [1 per cell]
Sr 0.5002 0.4850 0.9999 [1 per cell]
Sr 0.7014 0.6862 0.4025 [1 per cell]
Y 0.3478 0.3434 0.7013 [1 per cell]
Y 0.8478 0.8434 0.7013 [1 per cell]
Mn 0.0564 0.6591 0.2013 [1 per cell]
Mn 0.5566 0.0277 0.2010 [1 per cell]
Cu 0.2776 0.7737 0.5604 [1 per cell]
Cu 0.4184 0.9129 0.8418 [1 per cell]
Cu 0.7777 0.2726 0.5607 [1 per cell]
Cu 0.9187 0.4144 0.8422 [1 per cell]
O 0.0270 0.5070 0.0458 [1 per cell]
O 0.0279 0.5385 0.5766 [1 per cell]
O 0.0428 0.0384 0.5763 [1 per cell]
O 0.1527 0.1483 0.8259 [1 per cell]
O 0.1677 0.6479 0.8260 [1 per cell]
O 0.1829 0.6613 0.3565 [1 per cell]
O 0.1984 0.0034 0.2013 [1 per cell]
O 0.5281 0.0254 0.0457 [1 per cell]
O 0.5280 0.5239 0.5765 [1 per cell]
O 0.5429 0.0249 0.5767 [1 per cell]
O 0.6532 0.1630 0.8257 [1 per cell]
O 0.6679 0.6629 0.8260 [1 per cell]
O 0.6828 0.1807 0.3560 [1 per cell]
O 0.6987 0.6832 0.2013 [1 per cell]


Record 2
Computed powder XRD pattern
Compound: Li9Mn7O16
Radiation: Cu Kα
Structure: a DFT-relaxed cell (PBE+U, the Materials Project)
Lines closer than 0.1° are merged.

Principal peaks in the range 2θ = 10–90°, low angle first:
- 18.4 deg, I 100, hkl 0 0 2
- 33.8 deg, I 20, hkl 4 0 0
- 36.3 deg, I 23, hkl 2 2 -1
- 37.2 deg, I 10, hkl 0 0 4
- 40.6 deg, I 35, hkl 4 0 2
- 44.3 deg, I 55, hkl 2 2 -3
- 46.9 deg, I 10, hkl 2 2 3
- 58.5 deg, I 9, hkl 2 2 -5
- 61.4 deg, I 17, hkl 6 2 -1
- 62.0 deg, I 16, hkl 2 2 5
- 64.1 deg, I 7, hkl 4 0 -6
- 64.9 deg, I 7, hkl 0 4 0

Structure:
Cell: 10.6735 5.7467 9.7327 Å, 90.00 96.55 90.00°
Space group C2/m (No. 12)
Inequivalent atoms, fractional coordinates:
Li 0.0000 0.0000 0.0000 [2 per cell]
Li 0.1229 0.0000 0.7592 [4 per cell]
Li 0.1258 0.2439 0.2496 [8 per cell]
Li 0.1286 0.5000 0.7564 [4 per cell]
Mn 0.0000 0.2501 0.5000 [4 per cell]
Mn 0.0000 0.5000 0.0000 [2 per cell]
Mn 0.2504 0.0000 0.5008 [4 per cell]
Mn 0.2500 0.2500 0.0000 [4 per cell]
O 0.0506 0.0000 0.3797 [4 per cell]
O 0.0514 0.5000 0.3806 [4 per cell]
O 0.0805 0.2611 0.8966 [8 per cell]
O 0.1939 0.0000 0.1136 [4 per cell]
O 0.1972 0.2505 0.6166 [8 per cell]
O 0.1995 0.5000 0.1179 [4 per cell]


Record 3
Computed powder XRD pattern
Compound: BaNdFeSnO6
Radiation: Cu Kα
Structure: a DFT-relaxed cell (PBE+U, the Materials Project)
____________
# The calculated crystals stop here
Today has been a nice day for me. Started with my annoying alarm sound, although it was actually one of the Incubus song :D The alarm was set to 6:45 am, and it was snoozing until 7. huhu and I took the hp and set the alarm to 730 :D huahuahauhau The hp was actually 15 mins earlier, so I wasnt that late.
And yessssss Something exciting happened on the LRT :D When I got my butt on the seat, I saw my old LRT crush. He is just a guy, who stay in my apartment and he is this Tall, very groomed guy. We bumped into each other since i worked in PJ, then KLCC and since I worked in Masjid Jamek, I never saw him. Only 1 time in KLCC. He is this.. I dunno, maybe a real Metrosexual guy. My sister told me he could be a gay but I dun mind, he is just an eye candy.. nothing more than that. Only that when he turned away, ( mostly his face will be opposite with mine ), I looked at his lipss. He got this very very very sexy lips. Full and thick and sexy and full and thick and yummy :D Just a naughty thought. He could be a good kisser. Hu hu then when we walked out of the tren, he was walking behind me and gosh I feel secured! I just love tall guy!
**These materials data were left in the entry by mistake**
This entry pairs a crystal structure of Ca3ZnBi3 with its theoretical XRD peak list. Radiation: CuKα. Structure: a structure optimized by DFT (GGA-PBE).

Atomic structure:
```
data_Ca3ZnBi3
_chemical_formula_sum 'Ca24 Zn8 Bi24'
_space_group_name_H-M_alt 'C m c e'
_space_group_IT_number 64
_space_group_name_Hall '-C 2ac 2'
_cell_length_a 20.0387
_cell_length_b 6.7271
_cell_length_c 13.3091
_cell_angle_alpha 90.00
_cell_angle_beta 90.00
_cell_angle_gamma 90.00
loop_
_atom_site_label
_atom_site_fract_x
_atom_site_fract_y
_atom_site_fract_z
Ca1 0.0000 0.2120 0.1368
Ca2 0.1731 0.2177 0.8740
Zn1 0.0857 0.0000 0.5000
Bi1 0.0000 0.2320 0.3800
Bi2 0.1640 0.2316 0.6269
```

Peak list (10 most intense, 10 to 80 degrees two-theta, sorted by position)
d [Å], 2theta, Rel. int., h k l
3.861, 23.04, 100, 3 1 2
3.364, 26.50, 32, 0 2 0
3.340, 26.69, 35, 6 0 0
3.327, 26.79, 34, 0 0 4
2.368, 38.00, 74, 0 2 4
2.357, 38.18, 39, 6 0 4
2.025, 44.75, 18, 3 3 2
2.015, 45.00, 19, 9 1 2
2.009, 45.13, 19, 3 1 6
1.930, 47.08, 27, 6 2 4

---

This entry pairs a crystal structure of ScGe2MoOs with its theoretical XRD peak list. Radiation: CuKα. Structure: a structure optimized by DFT (GGA-PBE).

Atomic structure:
```
data_ScGe2MoOs
_chemical_formula_sum 'Sc1 Ge2 Mo1 Os1'
_space_group_name_H-M_alt 'P 4/m m m'
_space_group_IT_number 123
_space_group_name_Hall '-P 4 2'
_cell_length_a 4.6760
_cell_length_b 4.6760
_cell_length_c 4.9920
_cell_angle_alpha 90.00
_cell_angle_beta 90.00
_cell_angle_gamma 90.00
loop_
_atom_site_label
_atom_site_fract_x
_atom_site_fract_y
_atom_site_fract_z
Sc1 0.0000 0.0000 0.0000
Ge1 0.0000 0.5000 0.5000
Mo1 0.5000 0.5000 0.0000
Os1 0.5000 0.5000 0.5000
```

Peak list (10 most intense, 10 to 80 degrees two-theta, sorted by position)
d [Å], 2theta, Rel. int., h k l
4.992, 17.77, 37, 0 0 1
4.676, 18.98, 100, 1 0 0
3.413, 26.11, 29, 1 0 1
3.306, 26.97, 24, 1 1 0
2.496, 35.98, 41, 0 0 2
2.338, 38.51, 68, 2 0 0
2.202, 40.99, 29, 1 0 2
2.091, 43.26, 25, 2 1 0
1.706, 53.72, 51, 2 0 2
1.378, 68.02, 25, 2 2 2

---

This entry pairs a crystal structure of KCaSn2Cl6 with its theoretical XRD peak list. Radiation: CuKα. Structure: a structure optimized by DFT (GGA-PBE).

Atomic structure:
```
data_KCaSn2Cl6
_chemical_formula_sum 'K3 Ca3 Sn6 Cl18'
_space_group_name_H-M_alt 'R 3'
_space_group_IT_number 146
_space_group_name_Hall 'R 3'
_cell_length_a 7.7699
_cell_length_b 7.7699
_cell_length_c 18.5541
_cell_angle_alpha 90.00
_cell_angle_beta 90.00
_cell_angle_gamma 120.00
loop_
_atom_site_label
_atom_site_fract_x
_atom_site_fract_y
_atom_site_fract_z
K1 0.0000 0.0000 0.0000
Ca1 0.0000 0.0000 0.4798
Sn1 0.0000 0.0000 0.2535
Sn2 0.0000 0.0000 0.6949
Cl1 0.0009 0.2708 0.5856
Cl2 0.0047 0.6807 0.4220
```

Peak list (10 most intense, 10 to 80 degrees two-theta, sorted by position)
d [Å], 2theta, Rel. int., h k l
5.447, 16.27, 64, 0 1 2
3.885, 22.89, 78, 1 1 0
3.819, 23.29, 82, 1 0 4
3.290, 27.11, 100, 1 1 3
3.249, 27.45, 33, 0 1 5
2.723, 32.89, 49, 0 2 4
Ahh... too much information. Im goin to watch the IT Crowd now. Aunt Irma visiting AGAIN! :D
Hushgirl currently listening to : Becinta | Faizal Tahir